by David Reneke
September 2010
AustralasianScience Website
Dave Reneke brings
news from the space and astronomy communities around the
David Reneke is an
astronomy lecturer and teacher, a feature writer for
major Australian newspapers and magazines, and a science
correspondent on radio. Subscribe to David’s free Astro-Space
newsletter at
Huge Solar
Storms to Impact Earth
Beware the solar maximum - that’s the dire warning from senior space
agency scientists.
They believe the Earth will be hit with
unprecedented levels of magnetic energy from solar flares after the
Sun wakes from a deep slumber sometime around 2013. National power
grids could overheat and air travel could be severely disrupted
while electronic items, navigation devices and major satellites
could stop working.
Severe solar flares, the strongest in 100 years, could result in
widespread power blackouts and leave cities without critical
communication signals for long periods of time, warns Dr Richard
Fisher, director of NASA’s Heliophysics Division.
The solar storms that will cause the Sun to reach temperatures of
more than 10,000°F occur only a few times over a person’s life.
Every 22 years the Sun’s magnetic energy cycle peaks while the
number of sun spots and solar flares hits a maximum level every 11
years. This is the
solar maximum you hear so much
And of course there is a
solar minimum - that’s what
we’re in now.
NASA said the super storm would hit like “a bolt of lightning”,
causing catastrophic consequences for the world’s health, emergency
services and national security unless precautions are taken.
Communication devices such as satellites and SatNavs through to air
travel and our banking system will be at risk.
Anything we rely on that is sensitive to
=====
(1)
A relaxed Er4RhAu crystal, computed with PBE.

Properties
Polymorph energy (0 for the lowest one) (meV per atom): 0.0
Formation energy from the elements (kcal/mol of atoms): -14.3
Spin magnetization (μB per atom): 0.000

Unit cell a=8.1751 b=4.7565 c=15.5277 alpha=90.00 beta=90.00 gamma=90.00
With the nearest neighbours (Å) after each atom.
Fractional positions:
Er1 0.0308 0.2500 0.0786  1 Rh 2.78, 1 Au 2.90
Er2 0.0853 0.2500 0.7767  2 Rh 2.91, 1 Au 2.94
Er3 0.1294 0.2500 0.3372  2 Rh 2.68-2.76, 2 Au 2.99
Er4 0.1510 0.2500 0.5652  2 Rh 3.04, 3 Au 3.14-3.15, 1 Er 3.33
Er5 0.3490 0.7500 0.0652  2 Rh 3.04, 3 Au 3.14-3.15, 1 Er 3.33
Er6 0.3706 0.7500 0.8372  2 Rh 2.68-2.76, 2 Au 2.99
Er7 0.4147 0.7500 0.2767  2 Rh 2.91, 1 Au 2.94
Er8 0.4692 0.7500 0.5786  1 Rh 2.78, 1 Au 2.90
Er9 0.5308 0.2500 0.4214  1 Rh 2.78, 1 Au 2.90
Er10 0.5853 0.2500 0.7233  2 Rh 2.91, 1 Au 2.94
Er11 0.6294 0.2500 0.1628  2 Rh 2.68-2.76, 2 Au 2.99
Er12 0.6510 0.2500 0.9348  2 Rh 3.04, 3 Au 3.14-3.15, 1 Er 3.33
Er13 0.8490 0.7500 0.4348  2 Rh 3.04, 3 Au 3.14-3.15, 1 Er 3.33
Er14 0.8706 0.7500 0.6629  2 Rh 2.68-2.76, 2 Au 2.99
Er15 0.9147 0.7500 0.2233  2 Rh 2.91, 1 Au 2.94
Er16 0.9692 0.7500 0.9214  1 Rh 2.78, 1 Au 2.90
Rh1 0.1954 0.7500 0.6852  5 Er 2.68-2.91
Rh2 0.3046 0.2500 0.1852  5 Er 2.68-2.91
Rh3 0.6954 0.7500 0.8148  5 Er 2.68-2.91
Rh4 0.8046 0.2500 0.3148  5 Er 2.68-2.91
Au1 0.2326 0.7500 0.4398  7 Er 2.90-3.15
Au2 0.2674 0.2500 0.9398  7 Er 2.90-3.15
Au3 0.7326 0.7500 0.0602  7 Er 2.90-3.15
Au4 0.7674 0.2500 0.5602  7 Er 2.90-3.15

***

(2)
A relaxed SrFe2W crystal, computed with PBE.

Properties
Polymorph energy (0 for the lowest one) (meV per atom): 404.4
Formation energy from the elements (kcal/mol of atoms): 21.0
Spin magnetization (μB per atom): 0.828

Unit cell a=5.7934 b=5.7934 c=5.7934 alpha=152.36 beta=129.19 gamma=58.82
With the nearest neighbours (Å) after each atom.
Fractional positions:
Sr1 0.0000 0.0000 0.0000  2 Sr 2.77, 4 Fe 2.85
Fe1 0.5184 0.5184 0.0000  2 Fe 2.42, 2 W 2.63
Fe2 0.7157 0.2157 0.5000  2 Fe 2.42
W1 0.2970 0.7970 0.5000  2 Fe 2.63, 2 W 2.77

***

(3)
A relaxed Cs4Rb2BeSb2 crystal, computed with PBE.

Properties
E_form (uncorrected) (meV per atom): -174
Spin magnetization (μB per atom): 0.000

Unit cell a=10.7072 b=10.7072 c=6.3113 alpha=106.46 beta=106.46 gamma=80.52
With the nearest neighbours (Å) after each atom.
Fractional positions:
Cs1 0.0470 0.7210 0.5785  1 Be 3.47, 1 Sb 3.87
Cs2 0.2790 0.9530 0.4215  1 Be 3.47, 1 Sb 3.87
Cs3 0.7210 0.0470 0.5785  1 Be 3.47, 1 Sb 3.87
Cs4 0.9530 0.2790 0.4215  1 Be 3.47, 1 Sb 3.87
Rb1 0.3652 0.3652 0.1281  1 Sb 3.62
Rb2 0.6348 0.6348 0.8719  1 Sb 3.62
Be1 0.0000 0.0000 0.0000  2 Sb 2.28
=====
magnetic fields, like computers and iPods, could be affected.
“We know it is coming but we don’t
know how bad it is going to be,” Fisher said. “Systems will just
not work. The flares change the magnetic field on the Earth and
it’s rapid, just like a lightning bolt. That’s the solar
A space weather conference in Washington
DC attended by NASA scientists, policy-makers, researchers and
government officials was told of similar warnings. One thing is
certain, large areas will be without power and essential services,
and to repair that damage will be hard as it takes time.
The Sun has plenty of that, another five
billion years worth in fact!
Misfit or Par for the Course?
Astronomers are technically trained, pragmatic people, constantly
prepared to expect the unexpected. It’s a logic honed from many
years peering through telescopes at strange things in the night sky.
They’ve seen and photographed some of
the most indelible sights in the heavens - colliding galaxies,
magnetars, hypervelocity stars and many more examples of nature’s
Now they say they’ve spotted a planet
with a tail.
But hang on, planets don’t have tails! Well, they didn’t, until the
21st century rolled around. We’ve got new technology now,
much better telescopes, and have come to expect the unforeseen. But
this discovery was like nothing anybody had ever dreamed of ever
seeing - a planet with a distinct and definitive tail.
Astronomers using NASA’s Hubble Space Telescope have
confirmed the existence of a baked object that could be called a
“cometary planet”.

The giant gas planet, named
HD 209458b, is orbiting so close to
its star that its heated atmosphere is escaping into space.
While it’s been speculated that stars
can blast away planets’ masses, this is the first confirmation that
atmospheric stripping is a real phenomenon. And since HD 209458b is
a pretty typical “hot Jupiter” - the nickname for close orbiting gas
giants - it’s almost certain that all hot Jupiters have
comet-like tails.
Observations taken with Hubble’s Cosmic Origins Spectrograph
suggest that powerful stellar winds are sweeping the cast off
atmospheric material behind the scorched planet, funneling it into a
previously assumed comet-like tail. The planet, located 153 light
years from Earth, weighs slightly less than Jupiter but orbits 100
times closer to its star than the Jovian giant.
This roasted, rocky world zips around
its star in a short 3.5 days; for comparison, our fastest planet,
Mercury, orbits the Sun in 88 days. This extrasolar planet is one of
the most intensely scrutinized because it is the first of the few
known alien worlds that can be seen passing in front of, or
transiting, its star.
Jeffrey Linsky, an astronomer at
the University of Colorado, and his team used COS to analyze the
planet’s atmosphere during transiting events to determine its
structure and chemical makeup by sampling the starlight that passes
through it.
The dip in starlight is usually very small, about 1.5%. But when the
planet’s atmosphere is added, the dip jumps to a whopping 8%,
indicating a bloated atmosphere. Early results show the presence of
the heavy elements carbon and silicon in the planet’s super-hot
2000°F atmosphere. This is assumed to be a by-product of the star’s
heat dredging up the heavier elements, allowing them to escape the
The COS data also showed gas escaping at high velocities, with a
large amount of it flowing forward at more than 35,000 km/h.
Now, like a thrilling dime store novel,
the mystery is starting to untangle. It’s likely that this large gas
flow is swept up by the stellar wind to form the comet-like tail
trailing the planet. It’s simply the most logical conclusion.
Hubble’s newest spectrograph has the ability to probe a planet’s
chemistry at ultraviolet wavelengths not accessible to ground-based
An earlier scan in 2003 showed an
active, evaporating atmosphere, and a comet-tail-like structure
was suggested as a possibility. But back then Hubble wasn’t able to
obtain the spectroscopic detail necessary to show a tail, or an
Earthward-moving component of the gas, during transits. The
instrumental sensitivity just wasn’t available back then.
Although this extreme planet is being roasted by its star, it won’t
be destroyed anytime soon.
“It will take about a trillion years
for the planet to evaporate,” Linsky said.
It’s unclear how long the superheated
alien world’s “tail” is or how long it’s been losing mass, but it’s
almost certain that the erosion process has been happening for at
least several million years.
Among the more than 400 planets found beyond our solar system there
are volcanic super-Earths, gas giants that dwarf Jupiter, and worlds
with multiple sunsets. Astronomers think that massive hot Jupiters
are born far away from their stars and approach them gradually
during eons of orbiting.
Many unanswered questions remain about the properties of
exoplanets, such as the details of their composition and their
likelihood of possessing moons. Another question is whether they
might support life. Several large planets do have orbits in their
parent star’s habitable zone, where it should be possible for
Earth-like conditions to prevail.
If these planets also have large moons,
the moons might be a more plausible location for life.
Are Comets
Wanderers from Another Star System?
Comets, long-lost members of the solar system’s fragmentary birth,
have always been a mystery.
In the Middle Ages they were seen as
portents of disaster, invoking dire warnings of fire, flood, disease
and pestilence. Some religious groups even believed they were the
dearly departed souls of their loved ones making their way to
These days we know them more as a fascination to look up at in the
night sky, to photograph and marvel at. But, where did they come
from? That’s a good question, and the answer may not be from where
you think.
Along with asteroids they make up the flotsam and jetsam of our
solar system. Astronomers believe that they originated great
distances away, traveling to the inner solar system from that frozen
region outside Pluto called
the Oort cloud, halfway to the
nearest star. They are the icy counterparts of asteroids impregnated
with life-giving water-ice, and perhaps the building blocks of life.
New computer simulations show that many comets - including some
famous ones - came from even farther out. They may have been born in
other solar systems.
Many of the most well-known comets,
Hale-Bopp, Halley, and most
McNaught, may have formed around
other stars before becoming gravitationally captured by our Sun when
it was still in its birth cluster.
Computer simulations by scientists like Dr Hal Levison from
the Southwest Research Institute in Boulder, Colorado, show
that the Sun may have captured small icy bodies from its sibling
stars while still in its star-forming nursery cluster.
The researchers investigated what fraction of comets might be able
to travel from the outer reaches of one star to the outer reaches of
another. The simulations imply that a substantial number of comets
can be captured through this mechanism, and that a large number of
Oort cloud comets come from other stars.
The results may explain why the number of comets in the Oort cloud
is larger than models predict.
“We can conclude that more than 90%
of the observed Oort cloud comets have an extra-solar origin,”
Levison said.